Source =
KLaIr2Os | PBE-GGA | optimized geometry

Lattice parameters (Å, degrees): 5.115 5.090 5.115 90.00 90.00 90.00
Each line ends with the local moment (μB).
Fractional positions:
1 K 0.500 0.500 0.500  0.00
2 Os 0.000 0.500 0.000  1.33
3 Ir 0.000 0.000 0.500  0.28
4 La 0.000 0.000 0.000  -0.11
5 Ir 0.500 0.000 0.000  0.35

Computed properties:
Crystal system: tetragonal
SG: P4/mmm, No. 123
Energy of formation in eV/atom: 1.8847

=====

KLaP2Ir | PBE-GGA | optimized geometry

Lattice parameters (Å, degrees): 5.638 5.234 5.638 90.00 90.00 90.00
Each line ends with the local moment (μB).
Fractional positions:
1 K 0.500 0.500 0.500  0.00
2 P 0.000 0.000 0.500  0.09
3 P 0.500 0.000 0.000  0.11
4 Ir 0.000 0.500 0.000  0.85
5 La 0.000 0.000 0.000  -0.01

Computed properties:
Crystal system: tetragonal
SG: P4/mmm, No. 123
Energy of formation in eV/atom: 0.7446

=====

KLa2IrPd | PBE-GGA | optimized geometry

Lattice parameters (Å, degrees): 5.493 5.408 5.493 90.00 90.00 90.00
Fractional positions:
1 La 0.000 0.000 0.500
2 Ir 0.000 0.000 0.000
3 La 0.500 0.000 0.000
4 Pd 0.000 0.500 0.000
5 K 0.500 0.500 0.500

Computed properties:
Crystal system: tetragonal
SG: P4/mmm, No. 123
Energy of formation in eV/atom: -0.1291

=====

KLaReIr2 | PBE-GGA | optimized geometry

Lattice parameters (Å, degrees): 4.863 5.148 4.863 90.00 90.00 90.00
Fractional positions:
1 Ir 0.500 0.000 0.000
2 K 0.000 0.500 0.000
3 Ir 0.000 0.000 0.500
4 La 0.500 0.500 0.500
5 Re 0.000 0.000 0.000

Computed properties:
Crystal system: tetragonal
SG: P4/mmm, No. 123
Energy of formation in eV/atom: 0.8835

=====

KSr2LaIr | PBE-GGA | optimized geometry

Lattice parameters (Å, degrees): 6.224 6.224 5.521 90.00 90.00 90.00
Fractional positions:
1 Sr 0.500 0.000 0.000
2 K 0.500 0.500 0.500
3 La 0.000 0.000 0.500
4 Sr 0.000 0.500 0.000
5 Ir 0.000 0.000 0.000

Computed properties:
Crystal system: tetragonal
SG: P4/mmm, No. 123
Energy of formation in eV/atom: -0.1863

=====

KLaTeIr2 | PBE-GGA | optimized geometry

Lattice parameters (Å, degrees): 5.165 6.335 5.165 90.00 90.00 90.00
Each line ends with the local moment (μB).
Fractional positions:
1 K 0.500 0.500 0.500  0.00
2 Ir 0.000 0.000 0.500  0.71
3 Ir 0.500 0.000 0.000  0.58
4 Te 0.000 0.500 0.000  0.23
5 La 0.000 0.000 0.000  -0.04

Computed properties:
Crystal system: tetragonal
SG: P4/mmm, No. 123

=====

KLa2TlIr | PBE-GGA | optimized geometry

Lattice parameters (Å, degrees): 5.650 5.650 5.474 90.00 90.00 90.00
Fractional positions:
1 K 0.500 0.500 0.500
2 La 0.500 0.000 0.000
3 La 0.000 0.500 0.000
4 Ir 0.000 0.000 0.000
5 Tl 0.000 0.000 0.500

Computed properties:
Crystal system: tetragonal
SG: P4/mmm, No. 123
Energy of formation in eV/atom: -0.1865

=====

KLaIrW2 | PBE-GGA | optimized geometry

Lattice parameters (Å, degrees): 4.673 5.147 4.673 90.00 90.00 90.00
Fractional positions:
1 W 0.500 0.000 0.000
2 La 0.500 0.500 0.500
3 W 0.000 0.000 0.500
4 K 0.000 0.000 0.000
5 Ir 0.000 0.500 0.000

Computed properties:
Crystal system: tetragonal
SG: P4/mmm, No. 123
Energy of formation in eV/atom: 2.7703

=====

KLaY2Ir | PBE-GGA | optimized geometry

Lattice parameters (Å, degrees): 5.622 5.622 5.682 90.00 90.00 90.00
Fractional positions:
1 K 0.500 0.500 0.500
2 Y 0.500 0.000 0.000
3 La 0.000 0.000 0.500
4 Y 0.000 0.500 0.000
5 Ir 0.000 0.000 0.000

Computed properties:
Crystal system: tetragonal
SG: P4/mmm, No. 123
Energy of formation in eV/atom: -0.1985

=====

KLa2YIr | PBE-GGA | optimized geometry

Lattice parameters (Å, degrees): 5.742 5.742 5.694 90.00 90.00 90.00
Fractional positions:
1 La 0.000 0.500 0.000
2 La 0.500 0.000 0.000
3 Ir 0.000 0.000 0.000
4 K 0.500 0.500 0.500
5 Y 0.000 0.000 0.500

Computed properties:
Crystal system: tetragonal
SG: P4/mmm, No. 123
Energy of formation in eV/atom: -0.2034

=====

KLa2ZnIr | PBE-GGA | optimized geometry

Lattice parameters (Å, degrees): 5.615 5.615 5.182 90.00 90.00 90.00
Fractional positions:
1 Ir 0.000 0.000 0.000
2 Zn 0.000 0.000 0.500
3 La 0.500 0.000 0.000

Activity =
Could you return all of the data further up verbatim?

Done =
KLaIr2Os | PBE-GGA | optimized geometry

Lattice parameters (Å, degrees): 5.115 5.090 5.115 90.00 90.00 90.00
Each line ends with the local moment (μB).
Fractional positions:
1 K 0.500 0.500 0.500  0.00
2 Os 0.000 0.500 0.000  1.33
3 Ir 0.000 0.000 0.500  0.28
4 La 0.000 0.000 0.000  -0.11
5 Ir 0.500 0.000 0.000  0.35

Computed properties:
Crystal system: tetragonal
SG: P4/mmm, No. 123
Energy of formation in eV/atom: 1.8847

=====

KLaP2Ir | PBE-GGA | optimized geometry

Lattice parameters (Å, degrees): 5.638 5.234 5.638 90.00 90.00 90.00
Each line ends with the local moment (μB).
Fractional positions:
1 K 0.500 0.500 0.500  0.00
2 P 0.000 0.000 0.500  0.09
3 P 0.500 0.000 0.000  0.11
4 Ir 0.000 0.500 0.000  0.85
5 La 0.000 0.000 0.000  -0.01

Computed properties:
Crystal system: tetragonal
SG: P4/mmm, No. 123
Energy of formation in eV/atom: 0.7446

=====

KLa2IrPd | PBE-GGA | optimized geometry

Lattice parameters (Å, degrees): 5.493 5.408 5.493 90.00 90.00 90.00
Fractional positions:
1 La 0.000 0.000 0.500
2 Ir 0.000 0.000 0.000
3 La 0.500 0.000 0.000
4 Pd 0.000 0.500 0.000
5 K 0.500 0.500 0.500

Computed properties:
Crystal system: tetragonal
SG: P4/mmm, No. 123
Energy of formation in eV/atom: -0.1291

=====

KLaReIr2 | PBE-GGA | optimized geometry

Lattice parameters (Å, degrees): 4.863 5.148 4.863 90.00 90.00 90.00
Fractional positions:
1 Ir 0.500 0.000 0.000
2 K 0.000 0.500 0.000
3 Ir 0.000 0.000 0.500
4 La 0.500 0.500 0.500
5 Re 0.000 0.000 0.000

Computed properties:
Crystal system: tetragonal
SG: P4/mmm, No. 123
Energy of formation in eV/atom: 0.8835

=====

KSr2LaIr | PBE-GGA | optimized geometry

Lattice parameters (Å, degrees): 6.224 6.224 5.521 90.00 90.00 90.00
Fractional positions:
1 Sr 0.500 0.000 0.000
2 K 0.500 0.500 0.500
3 La 0.000 0.000 0.500
4 Sr 0.000 0.500 0.000
5 Ir 0.000 0.000 0.000

Computed properties:
Crystal system: tetragonal
SG: P4/mmm, No. 123
Energy of formation in eV/atom: -0.1863

=====

KLaTeIr2 | PBE-GGA | optimized geometry

Lattice parameters (Å, degrees): 5.165 6.335 5.165 90.00 90.00 90.00
Each line ends with the local moment (μB).
Fractional positions:
1 K 0.500 0.500 0.500  0.00
2 Ir 0.000 0.000 0.500  0.71
3 Ir 0.500 0.000 0.000  0.58
4 Te 0.000 0.500 0.000  0.23
5 La 0.000 0.000 0.000  -0.04

Computed properties:
Crystal system: tetragonal
SG: P4/mmm, No. 123

=====

KLa2TlIr | PBE-GGA | optimized geometry

Lattice parameters (Å, degrees): 5.650 5.650 5.474 90.00 90.00 90.00
Fractional positions:
1 K 0.500 0.500 0.500
2 La 0.500 0.000 0.000
3 La 0.000 0.500 0.000
4 Ir 0.000 0.000 0.000
5 Tl 0.000 0.000 0.500

Computed properties:
Crystal system: tetragonal
SG: P4/mmm, No. 123
Energy of formation in eV/atom: -0.1865

=====

KLaIrW2 | PBE-GGA | optimized geometry

Lattice parameters (Å, degrees): 4.673 5.147 4.673 90.00 90.00 90.00
Fractional positions:
1 W 0.500 0.000 0.000
2 La 0.500 0.500 0.500
3 W 0.000 0.000 0.500
4 K 0.000 0.000 0.000
5 Ir 0.000 0.500 0.000

Computed properties:
Crystal system: tetragonal
SG: P4/mmm, No. 123
Energy of formation in eV/atom: 2.7703

=====

KLaY2Ir | PBE-GGA | optimized geometry

Lattice parameters (Å, degrees): 5.622 5.622 5.682 90.00 90.00 90.00
Fractional positions:
1 K 0.500 0.500 0.500
2 Y 0.500 0.000 0.000
3 La 0.000 0.000 0.500
4 Y 0.000 0.500 0.000
5 Ir 0.000 0.000 0.000

Computed properties:
Crystal system: tetragonal
SG: P4/mmm, No. 123
Energy of formation in eV/atom: -0.1985

=====

KLa2YIr | PBE-GGA | optimized geometry

Lattice parameters (Å, degrees): 5.742 5.742 5.694 90.00 90.00 90.00
Fractional positions:
1 La 0.000 0.500 0.000
2 La 0.500 0.000 0.000
3 Ir 0.000 0.000 0.000
4 K 0.500 0.500 0.500
5 Y 0.000 0.000 0.500

Computed properties:
Crystal system: tetragonal
SG: P4/mmm, No. 123
Energy of formation in eV/atom: -0.2034

=====

KLa2ZnIr | PBE-GGA | optimized geometry

Lattice parameters (Å, degrees): 5.615 5.615 5.182 90.00 90.00 90.00
Fractional positions:
1 Ir 0.000 0.000 0.000
2 Zn 0.000 0.000 0.500
3 La 0.500 0.000 0.000